Count the lines below that contain the word "C18H25F2NO3" and give the number alone.

-- begin --
Entry from the Open Molecules 2025 dataset: an isolated ion of composition C7H12N3 and charge +1 at a distorted geometry (ωB97M-V/def2-TZVPD).

F_max: 3.1 eV Å⁻¹
calculated total energy: -437.83212 Ha
SMILES: CN(C)N[n+]1ccccc1
energy relative to the best compared isomer or geometry (same formula, charge and spin): 104.3 kcal/mol
charge: +1
HOMO energy: -13.1 eV

CARTESIAN COORDINATES (ANGSTROEM)
1 H 2.07915 0.08871 -1.83131
2 C 1.12481 0.63637 -2.11312
3 H 1.14716 1.57864 -2.65218
4 H 1.03633 -0.79491 0.04935
5 H 1.54887 2.00210 0.38451
6 H 0.59119 -0.09135 -2.74991
7 C 0.78001 2.21437 -0.34291
8 C 0.21744 -2.18323 1.38490
9 N -1.05840 -0.51023 0.32146
10 H 1.12421 -2.77078 1.49187
11 H -2.91314 -2.40387 2.56223
12 H -1.58553 1.20357 -0.68759
13 C -2.18525 -0.94617 0.96336
14 H -3.20031 -0.61122 0.63742
15 H -0.96421 -3.68160 2.65207
16 H -0.00905 2.72040 0.25858
17 N -0.84784 0.50019 -0.84510
18 C 0.13356 -1.06719 0.56556
19 H 1.09186 2.99038 -1.07285
20 N 0.37110 1.02468 -1.00070
21 C -0.92658 -2.69806 2.00012
22 C -2.08865 -1.96505 1.94068

Cartesian forces, eV/Å:
-0.5948 1.3041 -0.4973
0.7663 -1.5598 -1.4917
1.3829 -0.2969 -0.8310
-0.2805 0.6902 -0.2008
0.6874 0.1831 0.0346
-0.0828 0.4160 0.4425
-0.3992 1.8279 1.0629
-0.3679 -0.9757 0.0541
1.4433 -0.1436 0.5526
0.1470 0.5030 -0.1992
0.3094 1.1712 -1.1411
0.5416 -0.4103 0.0620
-0.5151 0.0257 -0.0778
1.2740 0.2986 0.3111
0.5371 2.2081 -1.5143
0.0459 -0.7011 -0.5264
-2.3224 0.7422 -0.7924
-0.0384 -2.1871 1.3992
0.1582 -0.5899 0.3706
-2.3330 -0.8837 1.9178
0.5104 -1.1467 1.8182
-0.8694 -0.4753 -0.7535

Computed natural (NBO) charges, given in elementary charges:
1. H 0.202
2. C -0.424
3. H 0.220
4. H 0.255
5. H 0.210
6. H 0.237
7. C -0.442
8. C -0.210
9. N -0.159
10. H 0.255
11. H 0.270
12. H 0.371
13. C 0.050
14. H 0.259
15. H 0.266
16. H 0.220
17. N -0.232
18. C 0.045
19. H 0.224
20. N -0.276
21. C -0.120
22. C -0.219

=====

One molecule with the formula C18H25F2NO3 in a non-equilibrium geometry, computed with ωB97M-V/def2-TZVPD.

XYZ file:
```
49
Properties=species:S:1:pos:R:3:forces:R:3
C -3.709261 3.092680 3.407337 0.0 0.3 0.1
C -3.284325 3.089073 1.938584 2.9 0.0 0.3
C -3.367523 4.476265 1.318568 -1.4 -0.5 -1.7
C -1.804427 2.565541 1.706879 -2.6 -2.2 -2.6
C -1.724286 1.031450 1.953269 0.4 2.4 2.5
O -1.427492 0.722119 3.115190 -0.8 -0.9 -3.1
C -2.010283 0.012150 0.790978 -0.3 -2.5 0.6
F -2.607772 0.535086 -0.351889 1.3 -0.2 1.5
F -2.961774 -0.934025 1.246847 1.1 1.3 -0.2
C -0.633196 -0.791405 0.558355 -1.8 -0.5 -5.3
N 0.066056 -0.084217 -0.568698 -0.2 -0.5 -2.1
C 1.449020 -0.025438 -0.573613 0.8 0.2 3.6
O 2.044748 -0.125039 0.499642 -0.2 -0.2 -1.1
O 2.074053 0.274446 -1.709280 0.3 -0.7 -1.0
C 3.499487 -0.054135 -1.820247 1.8 -2.9 -3.2
C 3.974385 0.090896 -3.268529 0.0 -0.2 -1.7
C 4.442524 0.816568 -1.163076 -0.5 3.3 0.9
C 3.918476 -1.560765 -1.634847 -2.9 -0.8 0.6
C -0.648097 -2.275072 0.062352 -1.0 0.7 1.1
C 0.240792 -3.222407 0.574966 0.6 -0.3 0.1
C 0.290912 -4.530321 0.085878 -0.3 -1.5 -0.8
C -0.618448 -4.897739 -0.894595 -2.4 2.1 -0.6
C -1.606205 -3.940906 -1.360013 1.3 -0.8 -0.4
C -1.583550 -2.641294 -0.915646 -0.2 0.2 0.3
H -3.573830 2.147906 3.968168 -0.2 0.2 -0.7
H -4.784399 3.346434 3.341124 0.5 0.0 0.8
H -3.119977 3.835916 3.994583 -0.6 -0.2 -0.5
H -3.940839 2.456034 1.397863 -0.6 -0.8 -0.6
H -2.986216 4.573370 0.223626 -0.8 -0.4 1.9
H -4.451952 4.688774 1.387090 0.4 0.4 -0.6
H -2.911463 5.222679 1.907192 0.9 0.8 0.7
H -1.531425 2.802126 0.673743 -0.3 -0.3 -0.2
H -1.091046 3.072315 2.233966 1.6 1.0 2.1
H -0.110109 -0.779863 1.409627 2.1 0.6 3.2
H -0.285587 -0.451666 -1.496353 0.3 0.9 1.4
H 5.052405 -0.200035 -3.404244 -1.0 0.5 0.6
H 3.829088 1.057566 -3.675870 0.2 1.5 0.0
H 3.487100 -0.475828 -4.041854 -0.7 -1.0 0.1
H 4.184901 0.922082 -0.161678 0.0 0.1 2.1
H 4.356509 1.837738 -1.585898 0.0 -0.3 0.1
H 5.456784 0.558171 -1.294169 1.0 -0.7 -0.1
H 4.950732 -1.841909 -1.866266 -0.1 0.8 0.3
H 3.620930 -1.881243 -0.627518 0.4 -0.2 -0.1
-- stop --

1